# Wanted
Next, restate every line further below that contains the word "fmax_ev_per_a".

# Input
-- begin --
{
  "formula": "C26H40AuCl3N4O3Si",
  "method": "wB97M-V/def2-TZVPD",
  "species": ["C", "C", "H", "H", "H", "C", "C", "H", "H", "H", "H", "Au", "Cl", "Cl", "C", "O", "N", "C", "C", "H", "H", "H", "H", "H", "H", "H", "H", "H", "C", "C", "N", "H", "C", "O", "H", "H", "H", "H", "O", "C", "C", "C", "H", "C", "H", "C", "H", "C", "C", "H", "H", "H", "Si", "Cl", "C", "C", "C", "H", "H", "H", "H", "H", "H", "H", "H", "H", "N", "C", "C", "C", "C", "N", "C", "C", "H", "H", "H", "H"],
  "coordinates": [[1.6539, -1.5880, -4.7322], [1.0932, -0.3685, -4.0331], [1.7873, -1.4380, -5.8037], [0.9234, -2.3831, -4.5676], [2.6123, -1.9042, -4.3096], [0.5347, 0.6906, -4.7194], [0.1409, 0.6290, -6.1383], [0.4109, 1.6486, -4.2265], [-0.4614, -0.2513, -6.4032], [0.9970, 0.6697, -6.8255], [-0.4890, 1.4913, -6.3685], [0.5022, -1.4588, 2.0003], [2.2543, 0.0399, 1.4869], [-1.3095, -2.8219, 2.4806], [-0.0674, 2.4636, 1.9602], [-1.1231, 1.8662, 1.9560], [0.0925, 3.7517, 2.3425], [-1.0759, 4.4961, 2.7890], [1.3142, 4.4772, 2.0486], [0.8829, 1.9919, 1.6345], [-1.8680, 3.7883, 3.0621], [-1.4422, 5.1780, 2.0025], [-0.8024, 5.1023, 3.6616], [2.1112, 3.7571, 1.8353], [1.5998, 5.0850, 2.9092], [1.1984, 5.1505, 1.1886], [-2.2112, -1.4922, -2.5582], [-2.1023, 0.8600, -3.1892], [-2.7955, -1.3088, -1.6551], [-2.8860, 1.0321, -2.4447], [-2.7146, 0.1024, -1.3332], [-2.4075, -1.9111, -0.8250], [-3.0596, 0.4828, -0.0546], [-3.1560, -0.2993, 0.8882], [-2.8197, 2.0669, -2.0909], [-3.2348, 1.5714, 0.0350], [-3.8412, -1.5915, -1.8453], [-3.8491, 0.8766, -2.9469], [0.2515, -0.9773, -2.7524], [1.3729, -0.2223, -2.5264], [0.0612, 1.5599, -1.2453], [1.2271, 1.1601, -1.9229], [-0.6599, 0.7917, -0.9550], [-0.1950, 2.9240, -1.0615], [2.2296, -0.8272, -2.1773], [2.2804, 2.0864, -2.0588], [-1.1859, 3.2427, -0.7216], [0.7957, 3.8553, -1.3643], [2.0640, 3.4308, -1.7632], [3.2466, 1.7217, -2.4166], [0.5947, 4.9099, -1.2055], [2.8579, 4.1589, -1.9106], [0.7525, -4.6114, 0.0185], [0.9287, -2.3324, -0.0781], [-0.9959, -5.1626, -0.2602], [1.3828, -4.9582, 1.7595], [2.0292, -5.2959, -1.1361], [-1.4890, -4.4564, -0.9448], [-1.5752, -5.2217, 0.6750], [-1.0432, -6.1638, -0.7249], [1.6029, -5.5264, -2.1224], [2.3497, -6.2221, -0.6268], [2.9078, -4.6552, -1.2965], [1.1752, -4.1447, 2.4752], [2.4755, -5.1048, 1.7653], [0.9571, -5.8886, 2.1713], [-0.9537, 0.6180, 8.7664], [-0.7217, 0.4833, 7.6271], [-0.3991, 0.3278, 6.2259], [-1.4461, 0.2852, 5.2896], [-1.1528, -0.1268, 3.9875], [0.1395, -0.4358, 3.6995], [1.1865, -0.1722, 4.5001], [0.9405, 0.2077, 5.8108], [-2.4700, 0.5499, 5.5448], [-1.8905, -0.3139, 3.2049], [2.1868, -0.3595, 4.0762], [1.7887, 0.4136, 6.4633]],
  "lowdin_charge": [-0.007, -0.312, 0.075, 0.091, 0.086, -0.062, -0.097, 0.115, 0.089, 0.086, 0.073, 0.367, -0.053, -0.023, -0.385, -0.015, -0.183, -0.044, -0.055, 0.033, 0.086, 0.092, 0.086, 0.093, 0.084, 0.076, 0.076, 0.077, -0.054, -0.061, -0.210, 0.075, -0.325, -0.016, 0.078, 0.133, 0.097, 0.090, -0.074, -0.320, -0.035, -0.186, 0.101, -0.090, 0.133, -0.034, 0.106, -0.108, -0.083, 0.122, 0.097, 0.102, 0.336, 0.305, -0.211, -0.240, -0.210, 0.027, 0.021, 0.041, 0.034, 0.042, 0.039, -0.030, 0.035, 0.043, 0.163, -0.160, -0.203, 0.025, -0.137, -0.173, -0.135, 0.005, 0.130, 0.069, 0.074, 0.125],
  "fmax_ev_per_a": 3.20,
  "lumo_ev": [-0.57, -0.57],
  "e_above_lowest_kcal_mol": 0.0,
  "spin_multiplicity": 3,
  "s2": 2.021,
  "homo_ev": [-6.8111, -8.7676]
}


{
  "formula": "C26H40BCeN8O5",
  "method": "wB97M-V/def2-TZVPD",
  "species": ["Ce", "C", "C", "O", "C", "C", "O", "C", "C", "O", "C", "C", "O", "C", "C", "O", "H", "H", "H", "H", "H", "H", "H", "H", "H", "H", "H", "H", "H", "H", "H", "H", "H", "H", "H", "H", "C", "C", "C", "C", "N", "N", "B", "N", "C", "C", "C", "C", "N", "N", "C", "C", "C", "C", "N", "N", "C", "C", "C", "C", "N", "H", "H", "H", "H", "H", "H", "H", "H", "H", "H", "H", "H", "H", "H", "H", "H", "H", "H", "H", "H"],
-- stop --

# Here it is
  "fmax_ev_per_a": 3.20,